CBS Highlights Ex-IRS Staffer Who Declares There Were No Politics at Cincinnati Office
Monday’s CBS Evening News took one break from Oklahoma tornado coverage – to run a piece on how an IRS manager who recently retired from the Cincinnati office, where 501 (c)(4) applications were processed, declared “politics and religion were things that people generally didn’t talk about at work.”
Reporter Dean Reynolds focused on the assurances by Bonnie Esrig, who was also featured in a Saturday Washington Post article on how politics had nothing to do with the targeting of conservative groups: “She never heard anyone say the words ‘the President wants this done.’”
Reynolds asserted “she worked in the same office where fewer than 200 people were dealing with 73,000 applications for exemptions last year,” though the relevant number of applications for the (c)(4) status was around 1,500 to 2,000 per year according to Washington Post “fact checker” Glenn Kessler.
Reynolds relayed how “she said there was little guidance on how to differentiate between so-called social welfare groups, that deserved exemptions, and political advocacy groups that did not,” so “the agents searched for short cuts to identify groups seeking exemptions.”
Esrig described an innocuous process: “It was looking for patterns. There are variables that may have caused some groups to come up more than others. Like if there were liberal group but they had different names it might have been harder to detect a pattern. But if you had another group where maybe ‘tea party’ showed up in a lot of the applications, then it’s like, okay, here’s a lot of the same thing.”
From the Monday, May 20 CBS Evening News:
SCOTT PELLEY: We’ll be going right back to Oklahoma City, but there has been a significant development in the IRS story. We learned today that some of the President’s top aides knew weeks ago that the IRS was targeting some conservative groups for special review. But they did not tell the President, preferring to keep him out of it. Mr. Obama has said he first learned all of this from news reports ten days ago. Spokesman Jay Carney said today, quote: “Some matters are not appropriate to convey to him and this is one of them.”
The targeting took place in the IRS office in Cincinnati, Ohio, and Dean Reynolds has spoken to a former manager there.
DEAN REYNOLDS: Few workers know the IRS Cincinnati office better than Bonnie Esrig.So 24 years in Cincinnati at the IRS office? She retired from her job as a senior manager in January.
REYNOLDS TO ESRIG: Do you recall there being a lot of discussion of politics?
ESRIG: No, absolutely not. Politics and religion were things that people generally didn’t talk about at work.
REYNOLDS: Esrig didn’t work on political cases and was not connected to the applications at the center of this controversy. But she worked in the same office where fewer than 200 people were dealing with 73,000 applications for exemptions last year. She said there was little guidance on how to differentiate between so-called social welfare groups, that deserved exemptions, and political advocacy groups that did not.
(Inserted here: crystal structures)
____________
The following is a DFT calculation (PBE) of a relaxed Na3PrAs2O8 crystal.

a = 14.399 Å, b = 5.624 Å, c = 19.575 Å
α = 90.00°, β = 90.00°, γ = 90.00°
Space group Pca2_1 (No. 29)
Asymmetric unit:
Na 0.033 0.043 0.106
Na 0.047 0.484 0.347
Na 0.116 0.994 0.442
Na 0.138 0.487 0.166
Na 0.203 0.970 0.261
Na 0.217 0.522 0.500
Pr 0.112 0.428 0.691
Pr 0.137 0.060 0.920
As 0.023 0.974 0.770
As 0.025 0.535 0.013
As 0.227 0.515 0.841
As 0.227 0.959 0.598
O 0.004 0.486 0.099
O 0.008 0.291 0.232
O 0.009 0.034 0.355
O 0.033 0.796 0.228
O 0.035 0.836 0.996
O 0.060 0.591 0.463
O 0.110 0.452 0.844
O 0.123 0.105 0.612
O 0.129 0.392 0.997
O 0.140 0.030 0.767
O 0.189 0.087 0.147
O 0.215 0.659 0.618
O 0.217 0.294 0.386
O 0.241 0.515 0.256
O 0.244 0.785 0.376
O 0.248 0.967 0.511

Uncorrected energy in eV/atom: -6.08
Calculated density in Mg/m³: 4.09
Magnetic moment in μB per atom: 0.000
Energy of formation in meV per atom: -2359.2
Calculated volume in Å³ per atom: 14.2

=====

Here is crystalline PrO3 at its relaxed geometry from the Materials Project. Energies are from PBE.

Cell: 5.6300 5.6300 4.4109 Å, 90.00 90.00 120.00°
Space group P6_3/m (No. 176)
Unique sites:
Pr  0.3333  0.6667  0.2500 x2
O  0.1444  0.7242  0.7500 x6

Output
- energy (eV per atom) = -6.333
- formation enthalpy at 0 K (eV per formula unit) = -7.768
- M_tot (μB per atom) = 0.750
- ρ (Mg/m³) = 5.182

=====

## Li3V3P8O29 (PBE+U)

Data for an optimized crystal structure of Li3V3P8O29.

Output
Crystal system: triclinic
Polymorph energy (0 for the lowest one), eV/atom: 0.0119
Volume, Å³/atom: 13.68
Energy of formation from the pure elements, eV per atom: -2.52
E, eV/atom: -7.050

a = 9.756 Å, b = 9.771 Å, c = 14.232 Å
α = 89.68°, β = 89.98°, γ = 60.14°
Sites, in units of the cell vectors:
Li 0.000 0.000 0.000
Li 0.012 0.450 0.503
Li 0.138 0.470 0.002
Li 0.577 0.444 0.550
Li 0.607 0.861 0.000
Li 0.894 0.828 0.450
V 0.342 0.782 0.691
V 0.354 0.340 0.197
V 0.477 0.777 0.199
V 0.483 0.203 0.694
V 0.913 0.212 0.197
V 0.915 0.347 0.698
P 0.001 0.006 0.784
P 0.003 0.462 0.287
P 0.136 0.860 0.288
P 0.148 0.460 0.787
P 0.225 0.555 0.605
P 0.229 0.691 0.104
P 0.245 0.115 0.573
P 0.247 0.111 0.076
P 0.577 0.445 0.811
P 0.583 0.443 0.313
P 0.600 0.859 0.785
P 0.609 0.000 0.287
P 0.686 0.092 0.103
P 0.694 0.689 0.602
P 0.826 0.089 0.603
P 0.826 0.551 0.106
O 0.002 0.034 0.272
O 0.002 0.436 0.774
O 0.006 0.302 0.269
O 0.011 0.158 0.761
O 0.095 0.264 0.614
O 0.096 0.113 0.117
O 0.119 0.788 0.375
O 0.120 0.565 0.526
O 0.123 0.771 0.196
O 0.132 0.577 0.703
O 0.147 0.783 0.019
O 0.154 0.526 0.879
O 0.171 0.863 0.773
O 0.173 0.433 0.272
O 0.244 0.122 0.469
O 0.247 0.113 0.972
O 0.249 0.964 0.617
O 0.252 0.258 0.119
O 0.257 0.520 0.105
O 0.259 0.695 0.606
O 0.296 0.859 0.274
O 0.297 0.301 0.764
O 0.389 0.402 0.611
O 0.389 0.685 0.124
O 0.392 0.116 0.619
O 0.394 0.960 0.119
O 0.433 0.445 0.270
O 0.437 0.596 0.763
____________
REYNOLDS TO ESRIG: Is it safe to say that you were swamped?
ESRIG: Absolutely. There was an awful lot of confusion during that time, both at the local level
-- in Cincinnati and, I think, in headquarters.
REYNOLDS: She said the agents searched for short cuts to identify groups seeking exemptions.
ESRIG: It was looking for patterns. There are variables that may have caused some groups to come up more than others. Like if there were liberal group but they had different names it might have been harder to detect a pattern. But if you had another group where maybe "tea party" showed up in a lot of the applications, then it's like, okay, here's a lot of the same thing.
REYNOLDS: Do you understand how detective perceived, though, out there in the country that the administration was using the IRS to beat up on its political opponents?
ESRIG: I can see why people who would like to believe that could believe that. I just don't think that it was realistic and I feel certain that didn't happen.
REYNOLDS: She also told us, Scott, that in her 24 years here at the IRS in Cincinnati, under two Democratic and two Republican administrations, she never heard anyone say the words “the President wants this done.”
-- Brent Baker is Vice President for Research and Publications at the Media Research Center. Click here to follow Brent Baker on Twitter.